Haiti and the Constraints of American Hegemony

There’s been a lot of speculation about the mid- to long-term impact on U.S. foreign policy of the Haiti earthquake and America’s response to it. I was surprised to see how quickly the assumptions turned sour. Already last Friday, I participated in a France 24 program in which one analyst had already identified Haiti as a long-term — and major — problem for President Barack Obama, along the lines of waging the Afghanistan war and winding down the Iraq war.

My sense is that this is a bit overblown. The unfolding operation in Haiti is a stability operation, not a counterinsurgency. It will certainly be undermined by pockets of local lawlessness, but it will not come under fire by a resistance movement organized around ethnic, national or ideological lines. Unlike either Iraq or Afghanistan, Haiti has a lengthy recent history of American and multinational troop presence. The Brazilian-led U.N. peacekeeping force is likely to be ramped up with an EU contingent, meaning that in the mid-term future, the operation’s U.S. “face” will be able to take a lower profile. The U.S. will also be able to be ramp down its presence more quickly, due to the fact that Haiti’s proximity makes it possible to redeploy tactically, as opposed to strategically.

So, yes, efforts to stabilize and reconstruct the country will be a mid- to long-term challenge, probably along the lines of what Kevin Drum suggested, but not necessarily a domestic political problem, nor a foreign policy albatross.

What I find more revealing about the Haiti response is the degree to which U.S. policymakers felt they had no choice in the matter. For any number of reasons, they were right — certainly with regards to the humanitarian intervention, and most likely with regards to the subsequent reconstruction efforts. That reflects, in part, the responsibilities inherent in the role of global hegemon, and it underscores a paradox we’d do well to consider. Iraq and Afghanistan have already demonstrated the limits of military force, in particular, and American power more generally. And Haiti itself is a testament to the limits of nation-building. And yet, despite the near-certainty that results will be disappointing, we have no choice but to act.

To paraphrase Madeleine Albright, What good is global hegemony if we have no choice but to use it?

That underscores what is perhaps the most significant long-term strategic objective of the Obama administration’s foreign policy shift — namely, the need to redistribute global responsibilities in order to lighten the burden borne by U.S. power. There’s still a lot to be accomplished in terms of buy-in, both domestically, in terms of those who continue to advocate for American primacy, and abroad, among “freeloaders,” happy to enjoy the benefits of global stability but reluctant to share the costs.

But as Haiti also illustrates, “the Rising Rest” — and in particular Brazil and China — now find themselves bound by the same constraints, albeit on a lesser scale. Due to global expectations, failure to act, for both, would cost more in terms of soft power than actual failure.

Data records, as found in the file:
-- begin --
(1)
# RbTaSn2O8 | the Alexandria database | GGA-PBE | relaxed
# Final energy: -6.73 eV/atom
# Size of the total moment: 0.05 Bohr magnetons per cell
# ΔE_f (raw): -1688 meV per atom
data_RbTaSn2O8
_chemical_formula_sum 'Rb1 Ta1 Sn2 O8'
_symmetry_space_group_name_H-M 'P -1'
_symmetry_Int_Tables_number 2
_cell_length_a 4.826
_cell_length_b 4.827
_cell_length_c 8.036
_cell_angle_alpha 92.43
_cell_angle_beta 92.18
_cell_angle_gamma 92.03
loop_
_symmetry_equiv_pos_as_xyz
'x,y,z'
'-x,-y,-z'
loop_
_atom_site_label
_atom_site_type_symbol
_atom_site_fract_x
_atom_site_fract_y
_atom_site_fract_z
Rb1 Rb 0.000 0.000 0.000
Ta1 Ta 0.000 0.000 0.500
Sn1 Sn 0.492 0.492 0.310
O1 O 0.192 0.190 0.322
O2 O 0.209 0.210 0.690
O3 O 0.294 0.706 0.500
O4 O 0.418 0.416 0.056

***

(2)
# RbTbSnO3 | the Alexandria database | GGA-PBE | relaxed
# Final energy: -6.32 eV/atom
# Size of the total moment: 0.00 Bohr magnetons per cell
# ΔE_f (raw): -2242 meV per atom
data_RbTbSnO3
_chemical_formula_sum 'Rb2 Tb2 Sn2 O6'
_symmetry_space_group_name_H-M 'P 1 21/m 1'
_symmetry_Int_Tables_number 11
_cell_length_a 7.485
_cell_length_b 3.515
_cell_length_c 9.454
_cell_angle_alpha 90.00
_cell_angle_beta 96.60
_cell_angle_gamma 90.00
loop_
_symmetry_equiv_pos_as_xyz
'x,y,z'
'-x,-y,-z'
'-x,y+1/2,-z'
'x,-y+1/2,z'
loop_
_atom_site_label
_atom_site_type_symbol
_atom_site_fract_x
_atom_site_fract_y
_atom_site_fract_z
Rb1 Rb 0.087 0.250 0.293
Tb1 Tb 0.419 0.750 0.636
Sn1 Sn 0.299 0.250 0.929
O1 O 0.235 0.250 0.692
O2 O 0.386 0.750 0.396
O3 O 0.459 0.750 0.889

***

(3)
# Rb3Tb2SnO6 | the Alexandria database | GGA-PBE | relaxed
# Final energy: -6.01 eV/atom
# Size of the total moment: 0.88 Bohr magnetons per cell
# ΔE_f (raw): -2186 meV per atom
data_Rb3Tb2SnO6
_chemical_formula_sum 'Rb6 Tb4 Sn2 O12'
_symmetry_space_group_name_H-M 'C 1 2/m 1'
_symmetry_Int_Tables_number 12
_cell_length_a 6.115
_cell_length_b 10.593
_cell_length_c 6.874
_cell_angle_alpha 90.00
_cell_angle_beta 107.20
_cell_angle_gamma 90.00
loop_
_symmetry_equiv_pos_as_xyz
'x,y,z'
'-x,-y,-z'
'-x,y,-z'
'x,-y,z'
'x+1/2,y+1/2,z'
'-x+1/2,-y+1/2,-z'
'-x+1/2,y+1/2,-z'
'x+1/2,-y+1/2,z'
loop_
_atom_site_label
_atom_site_type_symbol
_atom_site_fract_x
_atom_site_fract_y
_atom_site_fract_z
Rb1 Rb 0.000 0.000 0.000
Rb2 Rb 0.000 0.336 0.000
Tb1 Tb 0.000 0.167 0.500
Sn1 Sn 0.000 0.500 0.500
O1 O 0.224 0.000 0.678
O2 O 0.227 0.332 0.678

***

(4)
# Rb2TcSnO6 | the Alexandria database | GGA-PBE | relaxed
# Final energy: -6.03 eV/atom
# Size of the total moment: 4.08 Bohr magnetons per cell
# ΔE_f (raw): -1420 meV per atom
data_Rb2TcSnO6
_chemical_formula_sum 'Rb8 Tc4 Sn4 O24'
_symmetry_space_group_name_H-M 'F m -3 m'
_symmetry_Int_Tables_number 225
_symmetry_space_group_name_Hall '-F 4 2 3'
_cell_length_a 8.155
_cell_length_b 8.155
_cell_length_c 8.155
_cell_angle_alpha 90.00
_cell_angle_beta 90.00
_cell_angle_gamma 90.00
loop_
_atom_site_label
_atom_site_type_symbol
_atom_site_fract_x
_atom_site_fract_y
_atom_site_fract_z
-- stop --

The comparison remains a limited one, because neither Brazil nor China will “own” the Haitian reconstruction effort to the same degree that the U.S. will (and currently does in any number of hot spots around the world). But the precedent is significant. The fact that Brazil is already on the ground in its peacekeeping role makes sending more troops that much more likely. And just five years after the Indonesian tsunami, China’s ability and willingness to respond to a humanitarian disaster halfway around the world will only increase expectations for participation in subsequent reconstruction efforts and future stability operations.

Obama’s response to the Haiti relief efforts has been compared through the domestic political lens to President George W. Bush’s response to Hurricane Katrina. I think the more instructive comparison, though, is the one between the coalitions of the willing — broadly defined — that each man sought to enlist, and their purposes.